**Entries**
No. 1
DFT (SCAN) results for a PBEsol-optimized structure of ReRu.

Cell lengths 4.714, 4.328, 5.449 Å; angles 90.00, 90.00, 90.00 degrees
Space group Pnma (No. 62)
Symmetry-distinct sites (fractional):
1 Re 0.084 0.250 0.124
2 Ru 0.084 0.250 0.626

Calculated formation energy   -0.09 eV per atom

No. 2
DFT (SCAN) results for a PBEsol-optimized structure of CdPd3.

Cell lengths 5.5943, 5.5943, 4.5635 Å; angles 90.00, 90.00, 120.00 degrees
Space group P6_3/mmc (No. 194)
Symmetry-distinct sites (fractional):
1 Cd 0.3333 0.6667 0.2500
2 Pd 0.1647 0.3294 0.7500

Calculated formation energy   -0.26 eV per atom

----------

VASP calculation (GGA-PBE) on crystalline U2MoAs at its relaxed geometry.

```
U2MoAs
1.0
3.6996 0.0000 0.0000
0.0000 3.6996 0.0000
0.0000 0.0000 5.7815
U Mo As
2 1 1
direct
0.0000 0.0000 0.2186
0.0000 0.0000 0.7814
0.5000 0.5000 0.5000
0.5000 0.5000 0.0000
```

Summary:
**DFT total energy**: -9.72 eV per atom
**Total magnetization**: 0.0 μB/f.u.
**Energy relative to the lowest polymorph listed for this composition**: 0 meV/atom

VASP calculation (GGA-PBE) on crystalline V3MoAs at its relaxed geometry.

```
V3MoAs
1.0
4.2387 -2.6720 0.0000
4.2387 2.6720 0.0000
-2.6803 0.0000 12.8952
V Mo As
12 4 4
direct
0.0336 0.3325 0.7882
0.0577 0.9032 0.9116
0.0968 0.9423 0.5884
0.1264 0.4310 0.5939
0.3325 0.0336 0.2882
0.4310 0.1264 0.0939
0.5690 0.8736 0.9061
0.6675 0.9664 0.7118
0.8736 0.5690 0.4061
0.9032 0.0577 0.4116
0.9423 0.0968 0.0884
0.9664 0.6675 0.2118
0.3606 0.5459 0.4050
0.4541 0.6394 0.0950
0.5459 0.3606 0.9050
0.6394 0.4541 0.5950
0.0000 0.5000 0.0000
0.2969 0.7031 0.7500
0.5000 0.0000 0.5000
0.7031 0.2969 0.2500
```

Summary:
**DFT total energy**: -8.62 eV per atom
**Total magnetization**: 0.0 μB/f.u.
**Energy relative to the lowest polymorph listed for this composition**: 0 meV/atom

VASP calculation (GGA-PBE) on crystalline VMoAs at its relaxed geometry.

```
VMoAs
1.0
3.2490 0.0000 0.0000
0.0000 3.2490 0.0000
0.0000 0.0000 8.3319
V Mo As
2 2 2
direct
0.0000 0.0000 0.0000
0.5000 0.5000 0.5000
0.0000 0.0000 0.6670
0.5000 0.5000 0.1670
0.0000 0.0000 0.3367
0.5000 0.5000 0.8367
```

Summary:
**DFT total energy**: -8.31 eV per atom
**Total magnetization**: 0.0 μB/f.u.

VASP calculation (GGA-PBE) on crystalline V2MoAs at its relaxed geometry.

```
V2MoAs
1.0
4.0807 0.0000 0.0000
0.0000 4.0807 0.0000
0.0000 0.0000 3.4103
V Mo As
2 1 1
direct
0.0000 0.5000 0.0000
0.5000 0.0000 0.0000
0.0000 0.0000 0.5000
0.5000 0.5000 0.5000
```

Summary:
**DFT total energy**: -8.57 eV per atom
**Total magnetization**: 0.0 μB/f.u.

VASP calculation (GGA-PBE) on crystalline VMoAs at its relaxed geometry.

```
VMoAs
1.0
4.3944 0.0000 0.0000
-2.1972 3.8057 0.0000
0.0000 0.0000 2.7586
V Mo As
1 1 1
direct
0.0000 0.0000 0.0000
0.3333 0.6667 0.6656
0.6667 0.3333 0.8553
```

Summary:
**DFT total energy**: -8.20 eV per atom
**Total magnetization**: 0.0 μB/f.u.

VASP calculation (GGA-PBE) on crystalline VMo3As at its relaxed geometry.

```
VMo3As
1.0
4.5456 0.0000 0.0000
0.0000 4.5456 0.0000
0.0000 0.0000 4.5456
V Mo As
1 3 1
direct
0.0000 0.0000 0.0000
0.0000 0.0000 0.5000
0.0000 0.5000 0.0000
0.5000 0.0000 0.0000
0.5000 0.5000 0.5000
```

Summary:
**DFT total energy**: -7.91 eV per atom
**Total magnetization**: 0.0 μB/f.u.
**Energy relative to the lowest polymorph listed for this composition**: 111 meV/atom

VASP calculation (GGA-PBE) on crystalline V3MoAs at its relaxed geometry.

```
V3MoAs
1.0
4.5587 0.0000 0.0000
0.0000 4.5587 0.0000
0.0000 0.0000 4.5587
V Mo As
3 1 1
direct
0.0000 0.0000 0.5000
0.0000 0.5000 0.0000
0.5000 0.0000 0.0000
0.0000 0.0000 0.0000
0.5000 0.5000 0.5000
```

Summary:
**DFT total energy**: -7.33 eV per atom
**Total magnetization**: 0.0 μB/f.u.
**Energy relative to the lowest polymorph listed for this composition**: 1282 meV/atom

VASP calculation (GGA-PBE) on crystalline V2MoAs at its relaxed geometry.

```
V2MoAs
1.0
6.8462 0.0000 0.0000
0.0000 6.8462 0.0000
0.0000 0.0000 5.2981
V Mo As
8 4 4
direct
**Work order**
Duplicate the whole of the notes further up word for word.
**Outcome**
No. 1
DFT (SCAN) results for a PBEsol-optimized structure of ReRu.

Cell lengths 4.714, 4.328, 5.449 Å; angles 90.00, 90.00, 90.00 degrees
Space group Pnma (No. 62)
Symmetry-distinct sites (fractional):
1 Re 0.084 0.250 0.124
2 Ru 0.084 0.250 0.626

Calculated formation energy   -0.09 eV per atom

No. 2
DFT (SCAN) results for a PBEsol-optimized structure of CdPd3.

Cell lengths 5.5943, 5.5943, 4.5635 Å; angles 90.00, 90.00, 120.00 degrees
Space group P6_3/mmc (No. 194)
Symmetry-distinct sites (fractional):
1 Cd 0.3333 0.6667 0.2500
2 Pd 0.1647 0.3294 0.7500

Calculated formation energy   -0.26 eV per atom

----------

VASP calculation (GGA-PBE) on crystalline U2MoAs at its relaxed geometry.

```
U2MoAs
1.0
3.6996 0.0000 0.0000
0.0000 3.6996 0.0000
0.0000 0.0000 5.7815
U Mo As
2 1 1
direct
0.0000 0.0000 0.2186
0.0000 0.0000 0.7814
0.5000 0.5000 0.5000
0.5000 0.5000 0.0000
```

Summary:
**DFT total energy**: -9.72 eV per atom
**Total magnetization**: 0.0 μB/f.u.
**Energy relative to the lowest polymorph listed for this composition**: 0 meV/atom

VASP calculation (GGA-PBE) on crystalline V3MoAs at its relaxed geometry.

```
V3MoAs
1.0
4.2387 -2.6720 0.0000
4.2387 2.6720 0.0000
-2.6803 0.0000 12.8952
V Mo As
12 4 4
direct
0.0336 0.3325 0.7882
0.0577 0.9032 0.9116
0.0968 0.9423 0.5884
0.1264 0.4310 0.5939
0.3325 0.0336 0.2882
0.4310 0.1264 0.0939
0.5690 0.8736 0.9061
0.6675 0.9664 0.7118
0.8736 0.5690 0.4061
0.9032 0.0577 0.4116
0.9423 0.0968 0.0884
0.9664 0.6675 0.2118
0.3606 0.5459 0.4050
0.4541 0.6394 0.0950
0.5459 0.3606 0.9050
0.6394 0.4541 0.5950
0.0000 0.5000 0.0000
0.2969 0.7031 0.7500
0.5000 0.0000 0.5000
0.7031 0.2969 0.2500
```

Summary:
**DFT total energy**: -8.62 eV per atom
**Total magnetization**: 0.0 μB/f.u.
**Energy relative to the lowest polymorph listed for this composition**: 0 meV/atom

VASP calculation (GGA-PBE) on crystalline VMoAs at its relaxed geometry.

```
VMoAs
1.0
3.2490 0.0000 0.0000
0.0000 3.2490 0.0000
0.0000 0.0000 8.3319
V Mo As
2 2 2
direct
0.0000 0.0000 0.0000
0.5000 0.5000 0.5000
0.0000 0.0000 0.6670
0.5000 0.5000 0.1670
0.0000 0.0000 0.3367
0.5000 0.5000 0.8367
```

Summary:
**DFT total energy**: -8.31 eV per atom
**Total magnetization**: 0.0 μB/f.u.

VASP calculation (GGA-PBE) on crystalline V2MoAs at its relaxed geometry.

```
V2MoAs
1.0
4.0807 0.0000 0.0000
0.0000 4.0807 0.0000
0.0000 0.0000 3.4103
V Mo As
2 1 1
direct
0.0000 0.5000 0.0000
0.5000 0.0000 0.0000
0.0000 0.0000 0.5000
0.5000 0.5000 0.5000
```

Summary:
**DFT total energy**: -8.57 eV per atom
**Total magnetization**: 0.0 μB/f.u.

VASP calculation (GGA-PBE) on crystalline VMoAs at its relaxed geometry.

```
VMoAs
1.0
4.3944 0.0000 0.0000
-2.1972 3.8057 0.0000
0.0000 0.0000 2.7586
V Mo As
1 1 1
direct
0.0000 0.0000 0.0000
0.3333 0.6667 0.6656
0.6667 0.3333 0.8553
```

Summary:
**DFT total energy**: -8.20 eV per atom
**Total magnetization**: 0.0 μB/f.u.

VASP calculation (GGA-PBE) on crystalline VMo3As at its relaxed geometry.

```
VMo3As
1.0
4.5456 0.0000 0.0000
0.0000 4.5456 0.0000
0.0000 0.0000 4.5456
V Mo As
1 3 1
direct
0.0000 0.0000 0.0000
0.0000 0.0000 0.5000
0.0000 0.5000 0.0000
0.5000 0.0000 0.0000
0.5000 0.5000 0.5000
```

Summary:
**DFT total energy**: -7.91 eV per atom
**Total magnetization**: 0.0 μB/f.u.
**Energy relative to the lowest polymorph listed for this composition**: 111 meV/atom

VASP calculation (GGA-PBE) on crystalline V3MoAs at its relaxed geometry.

```
V3MoAs
1.0
4.5587 0.0000 0.0000
0.0000 4.5587 0.0000
0.0000 0.0000 4.5587
V Mo As
3 1 1
direct
0.0000 0.0000 0.5000
0.0000 0.5000 0.0000
0.5000 0.0000 0.0000
0.0000 0.0000 0.0000
0.5000 0.5000 0.5000
```

Summary:
**DFT total energy**: -7.33 eV per atom
**Total magnetization**: 0.0 μB/f.u.
**Energy relative to the lowest polymorph listed for this composition**: 1282 meV/atom

VASP calculation (GGA-PBE) on crystalline V2MoAs at its relaxed geometry.

```
V2MoAs
1.0
6.8462 0.0000 0.0000
0.0000 6.8462 0.0000
0.0000 0.0000 5.2981
V Mo As
8 4 4
direct